Program areas at Touch Health
M-mama tanzania programin fy23, Touch completed the national roll out of m-mama across all 26 regions in mainland tanzania and zanzibar. Touch worked with vodafone foundation, pathfinder international and all government of tanzania entities involved (e.g. Moh, poralg, ministry of communication and information technology, e-government authority) to finalize the m-mama ict system for tanzania and migrate it to tanzanian based servers fully managed by the government and set up dispatch centers in each region. Touch also supported the government to develop an automatic payment module with the m-mama ict system to improve efficiency of payments. Touch and the other implementing partners trained regional government teams on the use and management of the m-mama system, developing the capabilities of the government of tanzania to manage and own the system in the long term.
Between two parts of the entry: crystal structures.
- - -
(1)
Here is a relaxed LiCr2S4 crystal from Materials Project. Energies are from PBE-GGA.

Values from the calculation:
- MP2020-corrected energy: -6.4624 eV per atom
- Excess energy over the best structure of this formula in the dataset: 26 meV/atom
- ΔH_f (0 K): -1.0680 eV/atom

```
LiCr2S4
1.0
-3.4687 3.5105 4.9266
3.4687 -3.5105 4.9266
3.4687 3.5105 -4.9266
Li Cr S
2 4 8
Direct
0.0000 0.0000 0.0000
0.5000 0.0000 0.5000
0.0000 0.5000 0.5000
0.5000 0.0000 0.0000
0.5000 0.5000 0.0000
0.5000 0.5000 0.5000
0.2560 0.2711 0.5151
0.2560 0.7409 0.9849
0.2562 0.7416 0.5146
0.2730 0.2584 0.0146
0.7270 0.7416 0.9854
0.7438 0.2584 0.4854
0.7440 0.2591 0.0151
0.7440 0.7289 0.4849
```

(2)
Here is a relaxed P3IrO9 crystal from Materials Project. Energies are from PBE-GGA.

Values from the calculation:
- MP2020-corrected energy: -7.5861 eV per atom
- Excess energy over the best structure of this formula in the dataset: 16 meV/atom
- ΔH_f (0 K): -2.2315 eV/atom

```
P3IrO9
1.0
6.6525 -9.7237 0.0000
6.6525 9.7237 0.0000
-5.7656 0.0000 7.5817
P Ir O
18 6 54
Direct
0.0259 0.9741 0.0000
0.0645 0.7739 0.1243
0.0815 0.7082 0.5848
0.0957 0.4887 0.6813
0.1585 0.4331 0.1818
0.3228 0.7165 0.5349
0.3613 0.3992 0.0670
0.3813 0.6522 0.0296
0.3992 0.3613 0.5670
0.4331 0.1585 0.6818
0.4887 0.0957 0.1813
0.6522 0.3813 0.5296
0.7082 0.0815 0.0848
0.7165 0.3228 0.0349
0.7458 0.8102 0.6550
0.7739 0.0645 0.6243
0.8102 0.7458 0.1550
0.9741 0.0259 0.5000
0.0543 0.2298 0.3344
0.2298 0.0543 0.8344
0.4193 0.9084 0.3677
0.5643 0.7252 0.8383
0.7252 0.5643 0.3383
0.9084 0.4193 0.8677
0.0434 0.9778 0.6108
0.0458 0.5806 0.6186
0.0470 0.3246 0.1889
0.0710 0.1351 0.4795
0.0877 0.8929 0.0737
0.1023 0.4751 0.0542
0.1351 0.0710 0.9795
0.1366 0.4149 0.5634
0.1705 0.6984 0.4888
0.1726 0.8461 0.7635
0.2049 0.8257 0.2776
0.2380 0.6127 0.8703
0.2552 0.3795 0.1385
0.2592 0.2930 0.3994
0.2797 0.5732 0.3737
0.2930 0.2592 0.8994
0.3246 0.0470 0.6889
0.3531 0.4981 0.9879
0.3795 0.2552 0.6385
0.3796 0.7145 0.7015
0.3849 0.7192 0.1978
0.3951 0.9774 0.1941
0.4149 0.1366 0.0634
0.4260 0.8444 0.5439
0.4652 0.5058 0.7236
0.4751 0.1023 0.5542
0.4981 0.3531 0.4879
0.5058 0.4652 0.2236
0.5110 0.7361 0.0265
0.5732 0.2797 0.8737
0.5806 0.0458 0.1186
0.6127 0.2380 0.3703
0.6146 0.7175 0.6502
0.6329 0.9862 0.4537
0.6741 0.9432 0.9472
0.6984 0.1705 0.9888
0.7145 0.3796 0.2015
0.7175 0.6146 0.1502
0.7192 0.3849 0.6978
0.7361 0.5110 0.5265
0.7395 0.7497 0.4831
0.7497 0.7395 0.9831
0.7784 0.9684 0.7103
0.8257 0.2049 0.7776
0.8420 0.8864 0.3108
0.8444 0.4260 0.0439
0.8461 0.1726 0.2635
0.8864 0.8420 0.8108
0.8929 0.0877 0.5737
0.9432 0.6741 0.4472
0.9684 0.7785 0.2103
0.9774 0.3951 0.6941
0.9778 0.0434 0.1108
0.9862 0.6329 0.9537
```

(3)
Here is a relaxed Na4ZrSi6O18 crystal from Materials Project. Energies are from PBE-GGA.

Values from the calculation:
- MP2020-corrected energy: -7.3921 eV per atom
- ΔH_f (0 K): -2.7213 eV/atom

```
Na4ZrSi6O18
1.0
14.2034 0.0000 0.0000
0.0000 14.9737 0.0000
0.0000 0.0000 7.6318
- - -
Human resources for Health (hrh), deployment & retention and policy, and improving management and operational efficiency in the Health systemin fy23, Touch continued to support the christian social services commission (cssc) and their usaid-funded pata project. Touch worked with four cssc hospitals, in arusha, moshi and dar es salaam to improve their financial resilience and overall facility management. Touch developed an hrh and decision making dashboard that supports the medical officers in charge to use data to manage their facilities as well as to make strategic decisions. Touch worked with a third party software developer to develop the software and provided initial training and mentorship to the management teams of the 4 hospitals. During fy23, Touch also launched revenue generating services at 2 of the four hospitals above (i.e. Selian and st. joseph), which included fast-track services for opd patients and teleconsultations for patients outside of the hospital. Touch worked with hospital staff to implement these new processes, create ownership and continuously monitor the activities and fy23, Touch also started the medifikia program, with the objective of improving medicine availability and tracking of non-communicable disease (ncd) patients in up to 30 facilities in the lake zone. The first phase of the program included an assessment of 5 facilities in the lake zone to understand the key challenges and gaps. Touch used the results to select 3 initial facilities and start implementing operational improvements at their pharmacies and stores, and introducing a patient held medical record (or ncd card) distributed to all ncd patients to ensure patients and doctors have always available the needed information about the patient history and future appointments.
== Unrelated to this article: crystal structures ==
<<<
Density functional theory data (PBE+U) for a relaxed Li3V2P5O18 crystal.

The energy of formation comes out at -2.597 eV per atom. For the energy with MP2020 corrections, the calculation gives -7.597 eV per atom. Its space group is No. 2. As for the crystal system: triclinic.

Geometry as POSCAR:
```
Li3V2P5O18
1.0
-5.718 -0.881 2.828
-3.468 -2.156 -8.391
3.295 -9.777 2.331
O Li P V
36 6 10 4
direct
0.665 0.067 0.150
0.215 0.251 0.243
0.937 0.360 0.402
0.719 0.453 0.701
0.364 0.240 0.030
0.725 0.112 0.526
0.610 0.825 0.250
0.973 0.018 0.690
0.307 0.625 0.793
0.006 0.318 0.810
0.785 0.749 0.757
0.738 0.578 0.401
0.535 0.350 0.419
0.063 0.640 0.598
0.581 0.953 0.684
0.090 0.430 0.096
0.419 0.047 0.316
0.262 0.422 0.599
0.465 0.650 0.581
0.668 0.081 0.900
0.218 0.163 0.480
0.027 0.982 0.310
0.994 0.682 0.190
0.782 0.837 0.520
0.687 0.365 0.931
0.910 0.570 0.904
0.693 0.375 0.207
0.390 0.175 0.750
0.016 0.824 0.955
0.313 0.635 0.069
0.332 0.919 0.100
0.335 0.933 0.850
0.636 0.760 0.970
0.281 0.547 0.299
0.275 0.888 0.474
0.984 0.176 0.045
0.553 0.269 0.599
0.874 0.791 0.333
0.447 0.731 0.401
0.006 0.939 0.131
0.994 0.061 0.869
0.126 0.209 0.667
0.830 0.417 0.826
0.485 0.045 0.798
0.220 0.009 0.398
0.278 0.585 0.649
0.170 0.583 0.174
0.515 0.955 0.202
0.830 0.727 0.897
0.780 0.991 0.602
0.170 0.273 0.103
0.722 0.415 0.351
0.670 0.228 0.048
0.330 0.772 0.952
0.227 0.346 0.409
0.773 0.654 0.591
```

Density functional theory data (PBE+U) for a relaxed Li5V3P8O29 crystal.

The energy of formation comes out at -2.617 eV per atom. For the energy with MP2020 corrections, the calculation gives -7.586 eV per atom. Its space group is No. 9. As for the crystal system: monoclinic.

Geometry as POSCAR:
```
Li5V3P8O29
1.0
0.949 -6.056 7.676
5.210 -8.282 -0.868
11.579 6.810 4.002
O P V Li
58 16 6 10
direct
0.512 0.819 0.829
0.382 0.520 0.823
0.790 0.000 0.750
0.991 0.249 0.565
0.339 0.917 0.665
0.666 0.674 0.978
0.081 0.256 0.337
0.515 0.674 0.334
0.998 0.758 0.432
0.749 0.917 0.157
0.004 0.754 0.068
0.005 0.210 0.746
0.764 0.240 0.070
0.917 0.749 0.657
0.256 0.081 0.837
0.335 0.746 0.165
0.488 0.326 0.667
0.746 0.335 0.665
0.487 0.188 0.167
0.185 0.334 0.174
0.233 0.997 0.427
0.243 0.758 0.931
0.249 0.991 0.065
0.326 0.488 0.167
0.480 0.898 0.176
0.520 0.382 0.323
0.621 0.480 0.175
0.673 0.817 0.330
0.905 0.617 0.177
0.480 0.621 0.675
0.617 0.905 0.677
0.000 0.790 0.250
0.251 0.664 0.343
0.898 0.480 0.676
0.521 0.096 0.822
0.674 0.515 0.834
0.754 0.004 0.568
0.336 0.330 0.521
0.380 0.100 0.325
0.100 0.380 0.825
0.917 0.339 0.165
0.330 0.336 0.021
0.997 0.233 0.927
0.188 0.487 0.667
0.096 0.521 0.322
0.334 0.185 0.674
0.664 0.083 0.340
0.240 0.764 0.570
0.758 0.243 0.431
0.817 0.673 0.830
0.083 0.664 0.840
0.758 0.998 0.932
0.674 0.666 0.478
0.210 0.790 0.750
0.210 0.005 0.246
0.790 0.210 0.250
0.664 0.251 0.843
0.819 0.512 0.329
0.670 0.665 0.372
0.665 0.670 0.872
0.767 0.914 0.659
0.769 0.321 0.159
0.680 0.232 0.341
0.087 0.680 0.342
0.232 0.680 0.841
>>>
== So much for the crystal structures ==
M-mama lesotho programin fy23, Touch completed the launch of the m-mama system across all 10 districts of lesotho and collaborated with vodafone foundation to start building the capacity of the government of lesotho and local partner riders for Health to effectively manage and own the m-mama system in the long term. Touch worked with the government of lesotho to finalize policies and processes for the m-mama system to be fully embedded in government's routine activities, including the standardization of continuous monitoring and evaluation activities and reporting. Touch also linked the m-mama ict system to government ict Health systems to ensure sharing of data.